Thursday, July 12, 2007

Reason I Love Hockey #12


One of my most hated conversation-starters, and one that comes up way too often at college is "Where are you from?" This question sends me into a long song and dance number about Buffalo, and Western New York, and not being near NYC at all, and lots of snow, and so on and so forth. No matter how much I try to explain it, no one can quite grasp where my hometown is. So finally I just opted for the simple explanation of "It's near Canada," said with a twinge of pride. Of course, this, more often than not, elicits responses akin to "How sad for you," which only sends me into another song and dance. I love Canada. I'm a total Canada-phile. And people who try to bring Canada down based on falsified facts and assumptions are my sworn enemies. So, to these people, I list off my well-practiced reasons why my Northern Neighbor is so great. I start with the somewhat impertinent fact that they have a better view of Niagara Falls than we do, then work my way up through great Chinese food, Toronto, Tim Horton's, getting drunk at 19, the anthem, the accents, Algonquin Provincial Park, and the fact that they continued airing Clone High when no one else would, etc. etc. to the culmination, the crowning moment. Canada invented hockey, and therefore can do no wrong. Ever. Of course, most of the people who are down on Canada are similarly ignorantly down on hockey, so this usually does nothing to increase their love of either. But on rare occasions, I get a reply of "What's so great about hockey?" said with genuine inquisitiveness instead of disdain. At a cast party last semester, my routine defense of Canada lead to an hour and a half conversation about hockey, and why the Sabres rule and the Canes drool, with a non-fan from Raleigh. Even though he had no real idea of what I was talking about, it made me infinitely happy that he was not only interested in listening to me blabber (it was March, and I really needed an outlet), but he also actually agreed with me. A couple of months later I saw him again, and he told me he had tried to buy me a Hurricanes hat, "so you could burn it, or something," but unfortunately they apparently "suck so much that no one even bothers selling that stuff anymore." And thus a hockey friendship was born. Brought to me by Canada.

It's such a perfectly symbiotic relationship: I love Canada because it gave me hockey, and I love me hockey for giving me one more reason to love Canada.

1 comment:

Meg said...

• Attached: materials data:
........
[1]
Density functional theory data (PBE with a Hubbard U) for a relaxed structure of Mn2Zn2O5.

Computed properties:
**ΔH_f (0 K)**: -1.659 eV per atom
**M_tot**: 8.00 μB per formula unit

Structure (extended XYZ):
```
18
Lattice="5.472 0.000 0.000 0.000 10.490 0.000 0.000 0.000 3.632" Properties=species:S:1:pos:R:3 pbc="T T T"
Mn 1.290 1.389 0.000
Mn 1.446 6.634 0.000
Mn 4.026 3.855 0.000
Mn 4.182 9.100 0.000
Zn 1.257 9.446 1.816
Zn 1.479 4.201 1.816
Zn 3.994 6.289 1.816
Zn 4.215 1.044 1.816
O 0.000 5.245 0.000
O 0.722 8.579 0.000
O 0.999 0.986 1.816
O 1.737 6.231 1.816
O 2.014 3.334 0.000
O 2.736 0.000 0.000
O 3.458 7.155 0.000
O 3.735 4.259 1.816
O 4.473 9.504 1.816
O 4.750 1.911 0.000
```

[2]
Density functional theory data (PBE with a Hubbard U) for a relaxed structure of MoBr3O.

Computed properties:
**ΔH_f (0 K)**: -0.831 eV per atom

Structure (extended XYZ):
```
20
Lattice="3.923 0.000 0.000 0.000 12.004 0.000 -3.853 0.000 12.005" Properties=species:S:1:pos:R:3 pbc="T T T"
Mo 0.284 1.405 1.405
Mo -1.642 4.597 7.408
Mo 1.712 7.407 4.598
Mo -0.215 10.600 10.601
Br -1.925 7.258 7.258
Br 0.001 10.748 1.256
Br -1.919 2.143 7.304
Br 0.008 3.860 1.301
Br 0.015 1.300 3.860
Br -1.912 4.702 9.863
Br 1.982 7.302 2.143
Br 0.055 10.704 8.145
Br 0.062 8.145 10.704
Br 1.989 9.862 4.702
Br 0.069 1.256 10.750
Br 1.995 4.746 4.747
O -0.065 7.333 4.673
O -1.991 10.674 10.676
O 2.061 1.331 1.330
O 0.134 4.671 7.332
```

[3]
Density functional theory data (PBE with a Hubbard U) for a relaxed structure of Cr3CuP4O16.

Computed properties:
**ΔH_f (0 K)**: -2.369 eV per atom
**M_tot**: 9.46 μB per formula unit

Structure (extended XYZ):
```
24
Lattice="4.787 0.000 0.000 0.000 5.806 0.000 -0.156 0.000 9.903" Properties=species:S:1:pos:R:3 pbc="T T T"
Cr 0.000 0.000 0.000
Cr 0.210 2.903 5.422
Cr 2.623 0.000 5.009
Cu 2.193 2.903 0.575
P 0.499 0.000 6.767
P 2.093 0.000 1.786
P 2.875 2.903 3.662
P 4.456 2.903 8.618
O 0.899 0.000 8.230
O 1.207 1.192 5.984
O 1.207 4.614 5.984
O 1.192 2.903 8.768
O 1.331 1.166 1.025
O 1.331 4.640 1.025
O 1.369 2.903 3.857
O 1.728 0.000 3.261
O 3.244 2.903 2.196
O 3.590 0.000 1.565
O 3.599 1.715 4.443
O 3.599 4.091 4.443
O 3.776 0.000 6.593
O 3.800 1.677 9.349
O 3.800 4.129 9.349
O 4.059 2.903 7.146
```

[4]
Density functional theory data (PBE with a Hubbard U) for a relaxed structure of MnAsH2O5.

Computed properties:
**ΔH_f (0 K)**: -1.665 eV per atom
**M_tot**: 0.00 μB per formula unit

Structure (extended XYZ):
```
36
Lattice="5.189 -0.068 -1.319 -0.960 5.154 6.298 1.059 -5.046 8.942" Properties=species:S:1:pos:R:3 pbc="T T T"
Mn 2.644 0.021 6.961
Mn 5.767 -2.537 10.771
Mn 2.693 0.074 14.580
Mn 0.529 -2.523 4.472
As 2.544 2.205 4.394
As 3.554 -2.894 5.717
As 2.742 -2.165 9.527
As 1.732 2.935 8.206
H 4.685 -0.242 8.797
H 4.636 -0.296 1.177
H 0.148 0.616 1.316
H 0.197 0.671 8.936
H 0.602 0.283 5.125
H 0.651 0.337 12.745
H 5.140 -0.576 12.606
H 5.091 -0.630 4.986
O 0.760 -0.468 13.333
O 0.710 -0.522 5.713
O 4.528 0.508 0.588
........

Heh...while some of my reasons for loving Canada are slightly different then yours, I definitely agree with the premise that Canada is loveable. :)